When the fisheries-rich countries of the North Atlantic applied to join the EEC in the early 1970s, it was an opportunity for ministers in Brussels that was too good to miss.
To the nervous embarrassment of the Dutch, a last minute deal was pushed through that bolted the resources of national fishing grounds onto the scanty treaty provisions that covered trade in fish produce.
It was a shoddy fix and, it turned out, a major scandal at least for one of the applicant states. Norway’s fisheries minister resigned in protest, and the Norwegians voted against accession.
Attached: materials data =
# 1
MgTe2O | PBE-GGA | optimized geometry

Output
- crystal system = trigonal
- formation energy from raw total energies (eV per atom) = 0.217
- polymorph energy (0 for the lowest one) (meV per atom) = 536

The structure in POSCAR format:
```
MgTe2O
1.0
1.885 0.000 9.496
-0.943 1.633 9.496
-0.943 -1.633 9.496
Mg Te O
1 2 1
Direct
0.000 0.000 0.000
0.896 0.896 0.896
0.104 0.104 0.104
0.500 0.500 0.500
```

***

# 2
Zr2AlGa2Co5 | PBE-GGA | optimized geometry

Output
- crystal system = tetragonal

The structure in POSCAR format:
```
Zr2AlGa2Co5
1.0
-2.212 2.218 1.200
-0.661 -4.844 7.731
6.846 4.861 3.631
Zr Al Ga Co
4 2 4 10
Direct
0.000 0.674 0.174
0.000 0.326 0.826
0.000 0.174 0.326
0.000 0.826 0.674
0.000 0.000 0.000
0.000 0.500 0.500
0.000 0.124 0.624
0.000 0.876 0.376
0.000 0.624 0.876
0.000 0.376 0.124
0.500 0.204 0.060
0.500 0.796 0.940
0.500 0.060 0.796
0.500 0.704 0.440
0.500 0.940 0.204
0.500 0.296 0.560
0.500 0.560 0.704
0.500 0.440 0.296
0.500 0.500 0.000
0.500 0.000 0.500
```

***

# 3
ZrPaTiGa | PBE-GGA | optimized geometry

Output
- crystal system = cubic

The structure in POSCAR format:
```
ZrPaTiGa
1.0
-2.916 -1.822 3.382
1.780 -1.236 4.308
-1.095 2.613 3.902
Pa Ga Zr Ti
1 1 1 1
Direct
0.500 0.500 0.500
0.000 0.000 0.000
0.750 0.750 0.750
0.250 0.250 0.250
```

***

# 4
TcAg3 | PBE-GGA | optimized geometry

Output
- crystal system = tetragonal
- polymorph energy (0 for the lowest one) (meV per atom) = 188

The structure in POSCAR format:
```
TcAg3
1.0
-2.514 2.514 5.626
2.514 -2.514 5.626
2.514 2.514 -5.626
Tc Ag
2 6
Direct
0.400 0.400 0.000
0.600 0.600 0.000
0.500 0.000 0.500
0.131 0.131 0.000
0.869 0.869 0.000
0.750 0.250 0.500
0.250 0.750 0.500
0.000 0.500 0.500
```

***

| no. | size of the total moment (μB/cell) | E_tot (eV per atom) |
| --- | --- | --- |
| 1 | 0.00 | -2.99 |
| 2 | 0.00 | -6.53 |
| 3 | 0.22 | -7.30 |
| 4 | 1.10 | -4.23 |

* * * * *

MgP2Pt: relaxed, PBE.

Computed properties:
- DOS(E_F): 2.7 states/eV/f.u.
- Space group: F-43m
- Final energy: -4.511 eV/atom
- ΔH_f (0 K): 0.103 eV/atom
- Crystal system: cubic

Unit cell a=6.342 b=6.342 c=6.342 alpha=90.00 beta=90.00 gamma=90.00
Positions (direct):
Mg (0.000, 0.000, 0.000)
Mg (0.000, 0.500, 0.500)
Mg (0.500, 0.000, 0.500)
Mg (0.500, 0.500, 0.000)
P (0.000, 0.000, 0.500)
P (0.000, 0.500, 0.000)
P (0.250, 0.250, 0.750)
P (0.250, 0.750, 0.250)
P (0.500, 0.000, 0.000)
P (0.500, 0.500, 0.500)
P (0.750, 0.250, 0.250)
P (0.750, 0.750, 0.750)
Pt (0.250, 0.250, 0.250)
Pt (0.250, 0.750, 0.750)
Pt (0.750, 0.250, 0.750)
Pt (0.750, 0.750, 0.250)

=====

MgP2Pt: relaxed, PBE.

Computed properties:
- DOS(E_F): 1.3 states/eV/f.u.
- Space group: Pm
- Final energy: -4.939 eV/atom
- ΔH_f (0 K): -0.325 eV/atom
- Crystal system: monoclinic

Unit cell a=4.149 b=3.233 c=5.369 alpha=90.00 beta=102.84 gamma=90.00
Positions (direct):
Mg (0.000, 0.000, 0.000)
P (0.408, 0.500, 0.698)
P (0.659, 0.000, 0.517)
Pt (0.541, 0.500, 0.148)

=====

Mg2PPt: relaxed, PBE.

Computed properties:
Back to the entry =
But the UK did not. In 1973, the country joined the Brussels club. Ted Heath’s people accepted the stitch up as a political price worth paying – one of many, it might be said. And thus was created the original sin behind UK membership.
In due course, the arrangement would become more formally entrenched within Community systems as the Common Fisheries Policy. Dignifying the dodgy dossier with a group-hug name did not add to its charm. It would in due course develop into a Brechtian mechanism that has long disgraced the definition of ecological management.
In 2007 alone, just in the North Sea, 23,600 tonnes of cod, 31,048 of hake, and 6,000 of whiting were discarded. To help visualise that, that’s getting on for the displacement tonnage of one of our new aircraft carriers.
The impact of the Common Fisheries Policy on the British fleet was disastrous. EU fishing grants went into upgrading the Iberian fleets, giving them extra horsepower and storage space. Hundreds of millions in EU development aid went into upgrading Spanish ports and facilities.
Meanwhile money that went into the UK fleet was predominantly to help buy up the increasingly ageing vessels and scrap them. And of course, when we talk about EU money, as a net donor state, we are ultimately talking about UK taxpayers funding this dystopian subvention.
Even then, worse prospects loomed. The writ of the CFP ran into those waters stretching beyond the 6 and 12 mile limits. But even inshore fishing was not safe, safeguarded only be means of a derogation. Every ten years, it has had to be renegotiated. As a test case in 1983 proved, failure to extend this means that all national waters default to common EU control. Bargaining in such conditions is a surefire way of having to regularly barter away your chips in order to keep your fish.
Of this set up it need merely be remarked that when Norway’s pro-EU government tried a second time to bring the country in, the voters again rejected the proposal. True to form there had been a second attempt at a stitch up, with two EU countries quite openly blackmailing Oslo into giving up even more access to their fishing grounds in exchange for lifting a threatened accession veto.
This, then, is the background to the action being taken this week by fishermen protesting about the way the Brexit negotiations are going. Some observers might, with some justification, point to the fact that the agreement reached so far has been on the transition deal only, and does not demonstrate a clear marker on where the end agreement will actually be.
Others suggest, ruefully, that in any agreement that entailed major elements of transition, across such a vista of fields, it was inevitable that fisheries would be bolted on to any comprehensive deal. There is considerable validity in these points.
But the fact remains that the fishing community has been persistently abandoned – one is tempted to say betrayed – by both Whitehall and Westminster over the past decades.
It has come in a range of forms, from MAFF officials prosecuting a fisherman who had landed a literal handful of surplus-to-quota fish for a cat, to the hand-wringing ministerial statements that would follow Brussels quota sessions.
There are plenty of reasons why fishermen should distrust those very officials who are negotiating Brexit on their behalf, and more widely all the political parties in Westminster today. One is almost forced into peculiar Marxist dialectics about a form of class abuse that has been going on with this industry, that the SW1 bubble has for so long dismissed as expendable.
There have been exceptions. The Conservative grassroots have long got it, and loudly support this long-abused industry. Sir Richard Body, who recently has sadly passed away, even resigned the whip in the days of the John Major government in protest as to how his fishing constituents were treated. There was even a period on the front bench where several successive opposition fisheries spokesmen pursued the repatriation of policy. But Cameronism brought that to an end.
All this means historically, fishermen have every right to distrust politicians and civil servants. Unfortunately, what has recently been said about future arrangements has fallen short of categoric assurances. Even Boris Johnson’s assertion, during his contribution to the Road to Brexit speeches, came caveated: “We will be able, if we so choose, to fish our own fish.” The wording is telling; the decision to push in even a passing reference may itself have been a pointed bit of elbowing.
There is clearly a battle going on within government. So when commentators wonder why fishermen are getting so much attention of late, the answer really is quite simple. Their cause is just, and addressing it is decades overdue. And when others also look agog at why trawlermen are still campaigning when the Brexit referendum was won, the answer isn’t complicated. It’s because successive governments have each in turn let them down in the past.
Brexit is all about opportunity. That applies as much to international trade as it does to cutting red tape or, here, taking back control of the UK’s waters for the benefit of the UK’s fishermen. It is not enough to have a mandate: the Cabinet Office civil servants in the Oliver Robbins team also need clear instruction.
If they don’t, and Whitehall continues along its traditional route of viewing our coastal communities as expendable in a way no other EU state does, the damage will be enduring. Our ailing fishing industry will drown. And both the credibility and the honour of the Conservative party will be sleeping with the fishes.